Tuesday, 30 July 2013

That extra mile to do my competitor analysis.

Hi guys,
Today's post is about my dissertation progress. This time I will talk a bit about how I'm doing my competitor analysis. 

Normally people will do a competitor analysis by researching on the Internet, conducting SWOT and/or PEST analysis. I have done those but I also became their customer to get a better view and understanding of their service and product. 

Last week I subscribed to one of my closest competitor and today I've received my first box through the post. I paid £10/ month. The box was small enough to fit through the post box which is quite convenient. 

Simply Cook is a startup that aims to make cooking easier by supplying "hard to find 'taste ingredients' and simple instructions." And to be honest, I actually like this idea lol. 

Inside the box was 4 other boxes that contained 3 'taste ingredients'. 

Each box contains a small pot of oil, stock and herbs/ spice.  

Between two parts of the text: data records:
____________
1.
Formula: C5H13NOS
Source: the OMol25 dataset
Level of theory: wB97M-V/def2-TZVPD

## Properties
Lowest unoccupied orbital energy (spin up / spin down), eV: -6.37 / -6.38
HOMO-LUMO gap (spin up / spin down), eV: 6.7 / 6.3
HOMO level (spin up / spin down), hartree: -0.482 / -0.467

Geometry as ORCA input:
```
! wB97M-V def2-TZVPD RIJCOSX def2/J DEFGRID3
* xyz 1 2
C -1.472 -0.443 0.370
O -2.469 -1.177 1.058
C -0.165 -0.968 1.003
C 1.177 -0.512 0.346
C 0.861 0.601 1.151
S -0.535 1.774 -1.690
C 1.033 2.392 -2.329
N -0.170 -2.447 0.559
H -1.301 -0.555 -0.707
H -1.700 0.591 0.616
H -3.337 -0.991 0.680
H -0.156 -1.159 2.089
H 2.073 -1.007 0.697
H 1.129 -0.380 -0.727
H 1.715 1.061 1.659
H 0.179 1.390 0.880
H 1.617 1.559 -2.718
H 0.803 2.995 -3.202
H 1.503 2.992 -1.566
H 0.362 -2.998 1.221
H -1.148 -2.717 0.611
*
```

Löwdin atomic charges, in units of e: -0.26 -0.04 -0.31 -0.10 0.16 0.69 -0.49 0.10 0.09 0.10 0.12 0.18 0.14 0.13 0.15 0.06 0.04 0.03 0.02 0.10 0.09

=====

2.
Formula: C17H21NO2
Source: the OMol25 dataset
Level of theory: wB97M-V/def2-TZVPD

## Properties
Lowest unoccupied orbital energy, eV: -0.63
HOMO-LUMO gap, eV: 7.9
HOMO level, hartree: -0.314
SMILES: CCCNc1ccc2c(c1)C(=O)C(CC(C)C)=CC2=O

Geometry as ORCA input:
```
! wB97M-V def2-TZVPD RIJCOSX def2/J DEFGRID3
* xyz 0 1
C 6.144 -0.983 0.292
C 4.686 -1.403 0.015
C 4.126 -0.417 -1.050
N 3.807 0.893 -0.481
C 2.453 1.116 -0.140
C 2.141 2.385 0.331
C 0.884 2.755 0.690
C -0.139 1.835 0.561
C 0.143 0.573 0.098
C 1.420 0.205 -0.228
C -1.015 -0.383 -0.028
O -0.879 -1.586 0.108
C -2.337 0.258 -0.363
C -3.380 -0.462 -1.209
C -4.533 -1.099 -0.413
C -4.101 -2.282 0.504
C -5.381 -0.089 0.370
C -2.589 1.494 0.062
C -1.558 2.194 0.900
O -1.857 2.983 1.777
H 6.766 -1.125 -0.596
H 6.594 -1.538 1.119
H 6.224 0.083 0.537
H 4.742 -2.377 -0.481
H 4.082 -1.408 0.924
H 4.964 -0.256 -1.741
H 3.327 -0.850 -1.648
H 4.346 1.081 0.355
H 2.942 3.114 0.426
H 0.640 3.742 1.068
H 1.617 -0.808 -0.558
H -2.887 -1.163 -1.890
H -3.826 0.312 -1.847
H -5.212 -1.531 -1.160
H -4.442 -3.221 0.067
H -4.531 -2.111 1.493
H -3.015 -2.336 0.610
H -4.847 0.307 1.240
H -6.263 -0.611 0.752
H -5.730 0.730 -0.266
H -3.523 1.979 -0.199
*
```

Löwdin atomic charges, in units of e: -0.12 -0.22 -0.22 0.02 -0.24 -0.02 0.00 -0.11 -0.10 0.04 -0.25 0.11 -0.12 -0.12 -0.40 -0.05 -0.09 0.06 -0.31 0.10 0.07 0.07 0.06 0.10 0.11 0.11 0.11 0.11 0.12 0.13 0.12 0.12 0.12 0.12 0.07 0.07 0.05 0.08 0.08 0.08 0.13

=====

3.
Formula: C2H6NS
Source: the OMol25 dataset
Level of theory: wB97M-V/def2-TZVPD

## Properties
Lowest unoccupied orbital energy, eV: 4.09
HOMO-LUMO gap, eV: 7.0
HOMO level, hartree: -0.107

Geometry as ORCA input:
```
! wB97M-V def2-TZVPD RIJCOSX def2/J DEFGRID3
* xyz -1 1
S -2.124 -1.865 -1.783
H -2.087 -1.781 -3.121
C 1.095 1.393 1.103
C 0.702 0.513 0.167
N -0.058 -0.594 0.382
H 1.041 1.172 2.165
H 1.481 2.384 0.907
H 0.694 0.811 -0.874
H -0.045 -0.962 1.319
H -0.699 -1.072 -0.265
*
```
____________

As mentioned earlier, there are 4 recipe cards. 

I haven't tried it out yet as I only got the box this morning, but will definitely try one or two recipes this week. I'm kind of excited to be honest. Lol I've basically just marketed them to you lol. But it's ok, sharing is caring. And every startup should support each other. Hehe 

I hope my effort will get me a distinction for my dissertation! 

How's you're dissertation going on? How are you doing you're competitor analysis? 

Thursday, 25 July 2013

MVP created and testing

Hi guys, 
I am so excited about the MVP (minimum viable product) I made for my business idea/ dissertation. 

Here they are. I'm doing a A/B split test, as you can see I wrote A on one bag and B on the other. I've given it to 4 people so far! This photo was taken when I was in Pizza Express with my friend hence the menus lol. 

I spent about £50 on 9 items. Why so expensive? Well because they are all from planet organic, and you know organic products are always expensive. Why did I buy organic products? Because that's what my business idea is about. It was the chia seed that cost me the most, £14.99 for a big pack. But anyways this is just an MVP, in time I will look for a cheaper way to do it to increase the profit margin. 

When I gave them to my friends, they were all so excited. =D I'm giving them a week to try them out, then I will do a face to face interview with them to get feedback. 

I'm still looking for people to do the test. Anyone interested? :) 

Sunday, 21 July 2013

Goals for next two weeks

Hi everyone, hope you're all enjoying this lovely hot weather. And for those who's also doing their dissertation, how is it going?

I just had a look at the calendar and counted the number of weeks left and OH MY WORLD!! 6 weeks left!!! I have very little time left. I haven't even written ONE word. Lol. But to make myself feel better, our dissertation is different to other dissertations. We have to do a lot of market research and tests before writing. Well that's an excuse really. =p

I was supposed to fill in a progress report on Friday, but totally forgot about it. I just did it though lol

• Here the text breaks off for records of molecules:
┌──
Entry 1:
{"formula": "C10H17N2", "method": "ωB97M-V with the def2-TZVPD basis set", "species": ["C", "C", "C", "C", "C", "C", "C", "C", "C", "C", "N", "N", "H", "H", "H", "H", "H", "H", "H", "H", "H", "H", "H", "H", "H", "H", "H", "H", "H"], "coordinates": [[-4.320, -0.372, -0.046], [-3.943, 0.947, 0.210], [-3.394, -1.337, -0.375], [-2.588, 1.338, 0.174], [-2.037, -0.925, -0.479], [-1.624, 0.363, -0.191], [2.995, 0.990, 0.473], [3.163, -0.839, -1.307], [2.222, 0.234, -0.615], [0.796, -0.166, -0.337], [-0.217, 0.671, -0.254], [0.821, -0.558, 1.507], [-5.370, -0.617, 0.059], [-4.550, 1.753, 0.416], [-3.548, -2.401, -0.321], [-2.232, 2.322, 0.527], [-1.189, -1.511, -0.892], [3.137, 0.378, 1.399], [2.564, 1.935, 0.788], [4.054, 1.092, 0.136], [3.854, -1.351, -0.616], [3.798, -0.229, -1.895], [2.647, -1.351, -2.093], [2.171, 1.081, -1.334], [0.470, -1.153, -0.588], [0.027, 1.610, -0.037], [0.761, 0.256, 2.092], [1.552, -1.107, 1.832], [-0.017, -1.053, 1.765]], "mulliken_charge": [-0.437, -0.629, -0.696, -0.454, -0.091, 0.640, -1.629, -1.525, 0.411, 0.058, -0.065, -0.562, 0.377, 0.473, 0.374, 0.289, 0.272, 0.357, 0.360, 0.413, 0.364, 0.464, 0.406, 0.236, 0.426, 0.252, 0.298, 0.293, 0.325], "orbital_gap_ev": 9.248, "e_homo_ev": -12.3086, "de_lowest_kcal_mol": 3.7, "fmax_ev_per_a": 3.35, "total_energy_ha": -500.46266, "charge": 1}

Entry 2:
{"formula": "C10H17N2O", "method": "ωB97M-V with the def2-TZVPD basis set", "species": ["C", "C", "C", "C", "N", "C", "C", "C", "C", "C", "O", "N", "C", "H", "H", "H", "H", "H", "H", "H", "H", "H", "H", "H", "H", "H", "H", "H", "H", "H"], "coordinates": [[-2.770, 0.981, 0.711], [-1.379, 0.841, 0.002], [-1.259, 1.684, -1.250], [-1.318, -0.656, -0.416], [0.019, -1.105, -0.927], [1.023, -1.033, 0.242], [1.050, -2.241, 1.122], [2.620, -1.095, -0.521], [3.112, 0.153, -0.405], [2.050, 1.115, 0.091], [2.097, 2.304, 0.060], [0.965, 0.344, 0.577], [-0.289, 0.971, 1.041], [-3.379, 0.339, 0.078], [-2.839, 2.064, 0.824], [-2.457, 0.472, 1.637], [-0.138, 1.811, -1.658], [-1.683, 2.746, -1.073], [-1.815, 1.294, -2.181], [-1.669, -1.379, 0.473], [-2.000, -0.786, -1.175], [-0.074, -2.119, -1.214], [0.445, -0.421, -1.544], [1.342, -1.964, 2.133], [1.703, -2.993, 0.729], [0.004, -2.641, 1.235], [3.217, -1.896, -0.942], [3.993, 0.597, -0.845], [0.015, 2.023, 1.189], [-0.584, 0.594, 2.008]], "mulliken_charge": [-1.426, 1.504, -1.224, -1.410, 0.124, 0.200, -1.292, -0.604, -0.654, 0.743, -0.518, 0.172, -1.317, 0.407, 0.419, 0.372, 0.237, 0.380, 0.307, 0.247, 0.645, 0.439, 0.535, 0.353, 0.423, 0.332, 0.398, 0.445, 0.360, 0.404], "orbital_gap_ev": 10.495, "e_homo_ev": -13.7672, "smiles": "CC1(C)C[NH2+][C@@]2(C)C=CC(=O)N2C1", "de_lowest_kcal_mol": 54.5, "fmax_ev_per_a": 5.41, "total_energy_ha": -575.67622, "charge": 1}

Entry 3:
└──

Anyways, my next step is to do a demo of the service (MVP), A/B split test, create a landing page, and starting selling- as Rob Fitzpatrick, one of the mentors, has suggested. I almost forgot... and update my lean canvas!

The next goal is to get feedback from at least 5 people who tried the demo and maybe make £20 in the next 2 weeks? Lol. 

I also need to do some work for literature review, and start writing something! Researching is actually quite tiring. I spent 2 hours in the British Library last week and it wasn't easy. One because there were too much stuff available so you don't know where to start. Two it's just draining. 

That's it for now, thanks for reading. Blog later! 

Tuesday, 16 July 2013

Validated Initial Hypotheses

Hello people! Thanks for taking the time read my blog. The weather here in the UK is lovely, but can be a bit too hot to work on my dissertation. I haven't done much since my last post, I've just been sending out the survey and researching about the details of my competitors. I TRIED to do some reading on the customer development, the Steve Blank's book, Startup Manual Guide but didn't really happen. It's just too hot to work, my brain hasn't been working properly. Every time I sit by my desk, I just feel like 'can't be bothered, I'll do it later'. lol. I'm not making excuses. lol.

Anyhow I have managed to validate some of my initial hypotheses though.

Hypothesis #1
Not everyone one knows about all the benefits of the food they eat

Hypothesis #2
Some eat certain healthy food for the sake of eating healthy but are not sure the exact benefits

For hypotheses 1 and 2 I asked people 'Do you know all the benefits of the raw and dry ingredients that you add to your meals?', they had an option of;
- No, but I know they are healthy
- Yes, somewhat
- Yes, I know them very well. 

No one picked the last answer. 7 out of 13 chose the first option and 6 out of 13 chose the second. Thus it shows that my first two hypotheses are true. Only 13 people answered this question because I deleted this question later as some people said the survey was too long. 

Hypothesis #3 
When following a recipe there’s always at least one ingredient they don’t have because it’s uncommon.

Hypothesis #4
They always end up buying the uncommon ingredient and will only use it for that particular recipe or not often.

Prior to the survey, I actually interviewed two people with slightly different questions. Hypothesis 3 and 4 were actually my very first hypotheses. I asked them what problems they have when following a recipe and both said having all the ingredients you need. There are ingredients or equipment you only need for that recipe and won't be using it again. Another thing, both of them loving cooking and baking. But I'm not sure if that will be my customer segment.

Hypothesis #5
find healthy products are more expensive than unhealthy food

Hypothesis #6
 7/10 people would like to have smaller sizes of food products 

In the survey I asked 'What annoys you or frustrates you the most when you're food shopping?', and quite a few people have mentioned healthy food is more expensive than unhealthy food. Yes, bingo! Some people also mentioned about the size being too big if they are cooking for 1 to 2 people. Yes, bingo! So both hypothesis 5 and 6 have also been validated!!

That's 6 out of 14 hypothesis that has been validated, the rest I haven't tested them. That's my next step, I need to test all my initial hypotheses and then create new ones. I also need to define my segment and start building the MVP (minimal viable product). 

That's it for now. Update you later!!

Tuesday, 9 July 2013

My New Dissertation Idea aka Business Idea

Hi guys, in my previous post I mentioned that I've changed my dissertation topic to my own business idea. Why? What was wrong with the startup? Nothing really, I just had a eureka moment. However, it's not entirely original, it's a clone of another business but with different features.

Before changing it, I of course spoke to the head of department, Dave and my supervisor, Itxaso. Dave said its not too late but I probably won't be able to do lots of interviews. Itxaso loved my idea! That was a relief. Lol She told me not to waste my time on the startup and should do my own idea and carry on pursuing it after uni is over. I will as I've always wanted my own business.

You often hear people say turn your passion into a business. So based on my passion on healthy/well being and food I came up with an idea. It's a clone of Nutribox, Graze, Glossy box, Birch box and other product subscriptions business model. I haven't come up with a proper name yet, but our initial idea was 'Good Munch' but for the sake of SEO, my mentor Jack suggested the name should contain at least one key word that will inform people what the business is about in 3 seconds and appear in the top of the list in search engine. Anyway, I'll refer it to Good Munch in my blog posts for now.

So what exactly is it? I won't go into detail yet, hehe. You will know soon.

It's been about 2 weeks since I've changed the topic and so far I've sent out surveys, drawn canvases for Good Munch and the competitors and written out the initial hypotheses. A couple of people have said my survey is a bit too long, I cut some questions out. The reason it's long is because I'm doing it the short cut way, don't have the time to do face to face interviews. So I'm trying to get as much as I can from the surveys.

To encourage people to do the survey, I decided to give out 2 £20 amazon gift voucher. I will pick 2 winners at random on 22nd July. One of the voucher was given to me when I volunteered for TEDxUCL, lol. That's one voucher sorted lol. And guess what? I'm such a donut.  I forgot to add a field box for people to enter their email address or even a name for them to be entered for the prize draw. LOL. So I sent a message out on my Facebook telling them to give me their email address. But I've added it now. Here's one of the gift voucher.

The more research I do the more competition I find lol. But they aren't exactly the same though. I've found out that there a lot of healthy food online subscription businesses. All aim to provide convenience, save money and time. I found most of them through some of my favourite fitness blogs. As well as finding my competitors, I also learnt that each blogger is a channel to bring customers to the business. 

Tuesday, 2 July 2013

Changed my dissertation topic

Hi everyone! Just another update on my dissertation progress. I have changed the topic of my dissertation, I am going to work on my own business idea. I will talk about that in the next post. This post will be a highlight of the last few weeks with Glow and probably the last time I will be blogging about them.

In the past few weeks, I've been going to the mentor and supervisor sessions every Wednesday evening as usual. I've been doing a lot of interviews and I've been travelling a lot, well just around London. The furthest I've been is Heathrow airport terminal 5. 

About 3 weeks ago, I decided to change the customer segment, well not change but narrow it down. The decision was based on the feedback from professional working women (most saying they will not use mobile beauticians). So I thought of women with young children and women who lives in the suburb. My assumption is that women with young children would have to go through a lot of hassle and stress when going to the salon because they got to dress the children, put them in the pram, pack bag, push the pram into the salon. When they are in the salon, the children will get restless, cry and scream, etc. You get the gist. Basically no peace and they can't relax. If a mobile beautician was to go to their house, at least the mum don't need to dress the children, etc. Women living in the suburbs probably don't have much options in terms of salons and beauticians. They probably have to travel a distance for certain treatments. So it would be convenient for them if a mobile beautician visited them. 

I asked my mentor's opinion and he thought they are good especially the latter. I told the founders but they weren't too keen on the latter and suggested women who travel a lot around the country. I told my mentor that they weren't too keen in women living in the suburbs, and he said to me "Keep an open and objective mind.  I think your segments are legit. The purpose of customer development is NOT to prove your hypothesis true (many founders do this).  It's to DISCOVER where your product fits in the market the best. "  

I have interviewed one mum and one women who travels a lot but not women who lives in suburb. Haven't got round doing it yet- well I won't be now, as I'm doing my own idea.From their feedback it seems mobile beauticians isn't a popular option at all. The mum said she wouldn't book a mobile beautician because she still wouldn't have peace. Her kids would still be running around. The women who travels a lot said she wouldn't need to book one while she is away because she will be getting her treatments done before her trip.

I've done about 17 interviews with professional working women, 1 mum and 1 women who travels a lot. 14/17 have said they won't book a mobile beautician as they like the salon experience. Therefore, according to the Lean Startup the founders should pivot because the problem is not big enough to be solved.

That's how I felt LOL.
Last week, I went to the supervisor session. I told her about my findings and she told me to tell the founders to abandon the whole idea of booking mobile beautician. (She wants me to tell them that!! See the facial expression on left) They should corporate with salons and get them to  integrate an express make over method in their menu. Glow will then create an app for women to book their appointment. Apparently there's an express make up service in Bank and its always packed at 5pm with professional working women.

On the same night, I emailed the founders and told them exactly what my supervisor said to me. I was a bit hesitant because I'm basically saying their idea sucks. Lol. Well, it's not a bad idea but maybe they haven't found their niche. One of the founders wanted to speak on the phone about it, so we did. She said she won't pivot because she wants some concrete evidence that shows this idea won't work. And they have spent a lot of money and time on the app (they've got mock ups), and it will be a waste if they abandon it now. They will release the app and if it doesn't work then it doesn't. Then they will pivot. The thing is, I thought she said she follows the Lean Startup and that is going against it really. Unless she meant they are going to release an MVP to test it then that makes sense. However, if 14/17 have said they won't book a mobile beautician then the founders are probably building something that customers don't need or want. It probably will end up being one of those apps that just sits in the screen and will be used once every 3 months or less often. Also, my supervisor is an investment analyst, she is good at identifying business opportunities so she may be right...

Nevertheless, I have learnt a lot from working with Glow. The interviews were good experience. I am more comfortable talking to people at different level and from different background- not that I was shy talking to strangers before but I am better at building rapport. I also learnt how to refine my question and prompt them. Also, I want to thank the founders for giving me the opportunity. I want to thank those who filled my survey and those who participated in the interviews. Many many thanks!

That's it for now! Thanks for reading. =)